• Request:
What is needed: filter the rows underneath: keep the lines with the word "factors".

• Source:
/*
Structure and calculated X-ray diffraction stick pattern of CsCaTbBr6 (a cell relaxed with GGA-PBE; a wavelength of 1.5418 Å).
Neutral-atom scattering factors, no anomalous dispersion.

Cell and atoms:
abc: 7.515 7.515 16.045
angles: 90.00 90.00 120.00
Fractional coordinates of all 18 atoms:
Cs 0.000 0.000 0.000
Cs 0.000 0.000 0.500
Ca 0.333 0.667 0.250
Ca 0.667 0.333 0.750
Tb 0.333 0.667 0.750
Tb 0.667 0.333 0.250
Br 0.009 0.382 0.647
Br 0.009 0.627 0.853
Br 0.373 0.382 0.853
Br 0.373 0.991 0.647
Br 0.382 0.009 0.147
Br 0.382 0.373 0.353
Br 0.618 0.627 0.647
Br 0.618 0.991 0.853
Br 0.627 0.009 0.353
Br 0.627 0.618 0.147
Br 0.991 0.373 0.147
Br 0.991 0.618 0.353

Main lines, by angle (2θ = 5–70°):
d_spacing	2θ/deg	intensity
8.022	11.0	30
6.031	14.7	26
5.054	17.5	92
3.403	26.2	85
2.742	32.7	100
2.352	38.3	32
2.179	41.4	20
2.169	41.6	40
2.066	43.8	18
1.761	51.9	22

Structure and calculated X-ray diffraction stick pattern of CsCaTiBr6 (a cell relaxed with GGA-PBE; a wavelength of 1.5418 Å).
Neutral-atom scattering factors, no anomalous dispersion.

Cell and atoms:
abc: 7.235 7.235 8.089
angles: 90.08 90.08 120.07
Fractional coordinates of all 9 atoms:
Cs 0.000 0.000 0.000
Ca 0.334 0.666 0.500
Ti 0.667 0.333 0.500
Br 0.385 0.030 0.689
Br 0.389 0.358 0.308
Br 0.642 0.611 0.692
Br 0.643 0.031 0.309
Br 0.969 0.357 0.691
Br 0.970 0.615 0.311

Main lines, by angle (2θ = 5–70°):
d_spacing	2θ/deg	intensity
8.089	10.9	20
4.953	17.9	74
3.301	27.0	100
3.132	28.5	16
2.696	33.2	100
2.272	39.7	30
2.088	43.3	32
2.045	44.3	18
1.766	51.8	23
1.652	55.6	17

Structure and calculated X-ray diffraction stick pattern of CaCuBr5 (a cell relaxed with GGA-PBE; a wavelength of 1.5418 Å).
Neutral-atom scattering factors, no anomalous dispersion.

Cell and atoms:
abc: 7.054 7.054 8.905
angles: 98.49 98.49 93.20
Fractional coordinates of all 14 atoms:
Ca 0.034 0.966 0.750
Ca 0.966 0.034 0.250
Cu 0.000 0.500 0.000
Cu 0.500 0.000 0.500
Br 0.197 0.224 0.038
Br 0.224 0.197 0.538
Br 0.251 0.749 0.250
Br 0.259 0.665 0.890
Br 0.335 0.741 0.610
Br 0.665 0.259 0.390
Br 0.741 0.335 0.110
Br 0.749 0.251 0.750
Br 0.776 0.803 0.462
Br 0.803 0.776 0.962

Main lines, by angle (2θ = 5–70°):
d_spacing	2θ/deg	intensity
5.905	15.0	46
5.056	17.5	82
3.478	25.6	100
3.214	27.8	57
2.906	30.8	90
2.758	32.5	51
2.563	35.0	60
2.537	35.4	55
2.344	38.4	53
1.922	47.3	52

Structure and calculated X-ray diffraction stick pattern of Ca2Nb3CuBrO10 (a cell relaxed with GGA-PBE; a wavelength of 1.5418 Å).
Neutral-atom scattering factors, no anomalous dispersion.

Cell and atoms:
abc: 3.966 3.966 15.809
angles: 90.00 90.00 90.00
Fractional coordinates of all 17 atoms:
Ca 0.000 0.000 0.145
Ca 0.000 0.000 0.855
Nb 0.500 0.500 0.000
Nb 0.500 0.500 0.269
Nb 0.500 0.500 0.731
Cu 0.500 0.500 0.500
Br 0.000 0.000 0.500
O 0.000 0.500 0.000
O 0.000 0.500 0.242
O 0.000 0.500 0.758
O 0.500 0.000 0.000
O 0.500 0.000 0.242
O 0.500 0.000 0.758
O 0.500 0.500 0.125
O 0.500 0.500 0.383
O 0.500 0.500 0.617
O 0.500 0.500 0.875

Main lines, by angle (2θ = 5–70°):
d_spacing	2θ/deg	intensity
3.959	22.5	92
3.168	28.2	49
2.802	31.9	100
1.983	45.8	43
1.976	45.9	14
1.773	51.6	27
1.681	54.6	16
1.618	56.9	14
1.615	57.0	14
1.400	66.8	16

Structure and calculated X-ray diffraction stick pattern of CaNb2CuBrO7 (a cell relaxed with GGA-PBE; a wavelength of 1.5418 Å).
Neutral-atom scattering factors, no anomalous dispersion.

Cell and atoms:
abc: 3.944 3.944 11.579
angles: 90.00 90.00 90.00
Fractional coordinates of all 12 atoms:
Ca 0.000 0.000 0.000
Nb 0.500 0.500 0.184
Nb 0.500 0.500 0.816
Cu 0.500 0.500 0.500
Br 0.000 0.000 0.500
O 0.000 0.500 0.153
O 0.000 0.500 0.847
O 0.500 0.000 0.153
O 0.500 0.000 0.847
O 0.500 0.500 0.000
O 0.500 0.500 0.344
O 0.500 0.500 0.656

Main lines, by angle (2θ = 5–70°):
d_spacing	2θ/deg	intensity
3.944	22.5	66
3.860	23.0	81
3.260	27.4	74
2.789	32.1	100
2.759	32.5	37
2.008	45.1	26
1.972	46.0	63
1.756	52.1	34
1.587	58.1	28
1.379	68.0	28
*/

• Solution:
Neutral-atom scattering factors, no anomalous dispersion.
Neutral-atom scattering factors, no anomalous dispersion.
Neutral-atom scattering factors, no anomalous dispersion.
Neutral-atom scattering factors, no anomalous dispersion.
Neutral-atom scattering factors, no anomalous dispersion.